(Source)
No. 1
Zr9Re4P | the Materials Project | PBE | optimized geometry; ΔE_f = -408 meV per atom; spin magnetization = 0.84 μB/cell
1.0
8.598 0.000 0.000
-4.299 7.446 0.000
0.000 0.000 8.802
Zr Re P
18 8 2
Direct
0.073 0.536 0.250 Zr
0.198 0.396 0.548 Zr
0.198 0.396 0.952 Zr
0.198 0.802 0.548 Zr
0.198 0.802 0.952 Zr
0.396 0.198 0.048 Zr
0.396 0.198 0.452 Zr
0.464 0.536 0.250 Zr
0.464 0.927 0.250 Zr
0.536 0.073 0.750 Zr
0.536 0.464 0.750 Zr
0.604 0.802 0.548 Zr
0.604 0.802 0.952 Zr
0.802 0.198 0.048 Zr
0.802 0.198 0.452 Zr
0.802 0.604 0.048 Zr
0.802 0.604 0.452 Zr
0.927 0.464 0.750 Zr
0.000 0.000 0.000 Re
0.000 0.000 0.500 Re
0.107 0.214 0.250 Re
0.107 0.893 0.250 Re
0.214 0.107 0.750 Re
0.786 0.893 0.250 Re
0.893 0.107 0.750 Re
0.893 0.786 0.750 Re
0.333 0.667 0.750 P
0.667 0.333 0.250 P

=====

No. 2
P3Rh | the Materials Project | PBE | optimized geometry; ΔE_f = -578 meV per atom
1.0
-4.031 4.031 4.031
4.031 -4.031 4.031
4.031 4.031 -4.031
P Rh
12 4
Direct
0.140 0.496 0.356 P
0.140 0.784 0.644 P
0.216 0.356 0.860 P
0.356 0.140 0.496 P
0.356 0.860 0.216 P
0.496 0.356 0.140 P
0.504 0.644 0.860 P
0.644 0.140 0.784 P
0.644 0.860 0.504 P
0.784 0.644 0.140 P
0.860 0.216 0.356 P
(Brief)
What is needed: copy the whole of the material further up character by character.
(Result)
No. 1
Zr9Re4P | the Materials Project | PBE | optimized geometry; ΔE_f = -408 meV per atom; spin magnetization = 0.84 μB/cell
1.0
8.598 0.000 0.000
-4.299 7.446 0.000
0.000 0.000 8.802
Zr Re P
18 8 2
Direct
0.073 0.536 0.250 Zr
0.198 0.396 0.548 Zr
0.198 0.396 0.952 Zr
0.198 0.802 0.548 Zr
0.198 0.802 0.952 Zr
0.396 0.198 0.048 Zr
0.396 0.198 0.452 Zr
0.464 0.536 0.250 Zr
0.464 0.927 0.250 Zr
0.536 0.073 0.750 Zr
0.536 0.464 0.750 Zr
0.604 0.802 0.548 Zr
0.604 0.802 0.952 Zr
0.802 0.198 0.048 Zr
0.802 0.198 0.452 Zr
0.802 0.604 0.048 Zr
0.802 0.604 0.452 Zr
0.927 0.464 0.750 Zr
0.000 0.000 0.000 Re
0.000 0.000 0.500 Re
0.107 0.214 0.250 Re
0.107 0.893 0.250 Re
0.214 0.107 0.750 Re
0.786 0.893 0.250 Re
0.893 0.107 0.750 Re
0.893 0.786 0.750 Re
0.333 0.667 0.750 P
0.667 0.333 0.250 P

=====

No. 2
P3Rh | the Materials Project | PBE | optimized geometry; ΔE_f = -578 meV per atom
1.0
-4.031 4.031 4.031
4.031 -4.031 4.031
4.031 4.031 -4.031
P Rh
12 4
Direct
0.140 0.496 0.356 P
0.140 0.784 0.644 P
0.216 0.356 0.860 P
0.356 0.140 0.496 P
0.356 0.860 0.216 P
0.496 0.356 0.140 P
0.504 0.644 0.860 P
0.644 0.140 0.784 P
0.644 0.860 0.504 P
0.784 0.644 0.140 P
0.860 0.216 0.356 P